Visualizing Covariance

The Startup
Published in
5 min readFeb 11, 2021

A common assumption when we build any model tends to be that the variables are independent, but this assumption often doesn’t hold perfectly and here we will show why covariance messes up your estimates. First we derive the likelihood distribution for some model, next we will show how the shape of this distribution and hence the confidence interval of our estimates changes with variance. Finally, we will show how we can visualise the effect of covariance graphically and how high covariance between the variables you are trying to estimate affect the confidence intervals.

Starting with Bayes’ Theorem, we can write the posterior probability of some model X given observed data D and prior information I as:

We assume that our posterior is proportional to our likelihood and prior/evidence is some constant. Hence if we maximise likelihood, we maximise the posterior.

Our model can generate ideal estimates (F=(F1,F2,…,Fn)). The difference between the ideal estimates and observed data (D=(D1,D2,…,Dn)) is the error or noise. We assume that the measurement noise follows a Gaussian distribution. Assuming that each measurement is independent, we can write that the probability of observing the real data given our model and prior belief as the product of the probability of observing each discrepancy where each discrepancy has some variance σ² and mean 0:

Taking logarithm, we have the log likelihood L:

When we maximise L we minimise the residuals

By maximising L, we can determine the X parameters that gives that minimises the discrepancy between the model and the observed data. This is the maximum likelihood parameter estimate. We shall denote this as X*.

To see how variance affects our likelihood, we remind ourselves that P(X|D,I)=exp(L). We then Taylor expand L around the maximum point L(X*).

the 2nd term is 0 because at the maximum L, the slope of L is 0


We can compare this with the Gaussian distribution:

We see that we can write P(D|X, I) as a Gaussian distribution with mean X* and variance -1/(d²L/dX*²) . Naturally the larger the variance, the wider the Gaussian and the wider our confidence intervals for the same confidence level. We also see that this variance is given by the negative of the inverse of the second derivative of the log-likelihood function.

The variance determines the width of the normal distribution

Another way to examine the quality of our estimates is by looking at the deviation from the maximum likelihood. Looking at the log likelihood function again:

Next to the article, the page also holds records of crystals >
~~~
Entry 1:
## Er5Ge3C (PBE-GGA)

Data for an optimized crystal structure of Er5Ge3C.

```
Er5Ge3C
1.0
8.439 0.000 0.000
-4.220 7.309 0.000
0.000 0.000 6.410
Er Ge C
10 6 2
Direct
0.000 0.221 0.250
0.000 0.779 0.750
0.221 0.000 0.250
0.221 0.221 0.750
0.333 0.667 0.000
0.333 0.667 0.500
0.667 0.333 0.000
0.667 0.333 0.500
0.779 0.000 0.750
0.779 0.779 0.250
0.000 0.408 0.750
0.000 0.592 0.250
0.408 0.000 0.750
0.408 0.408 0.250
0.592 0.000 0.250
0.592 0.592 0.750
0.000 0.000 0.000
0.000 0.000 0.500
```

Summary:
* formation energy: -6.65 eV/f.u.


Entry 2:
## K3ErH9C6O14 (PBE-GGA)

Data for an optimized crystal structure of K3ErH9C6O14.

```
K3ErH9C6O14
1.0
5.764 -4.648 0.000
5.764 4.648 0.000
-0.845 0.000 16.375
K Er H C O
6 2 18 12 28
Direct
0.009 0.477 0.631
0.056 0.944 0.500
0.477 0.009 0.131
0.513 0.678 0.707
0.678 0.513 0.207
0.944 0.056 0.000
0.142 0.593 0.875
0.593 0.142 0.375
0.007 0.960 0.229
0.136 0.332 0.142
0.136 0.343 0.346
0.183 0.320 0.049
0.214 0.604 0.153
0.301 0.766 0.317
0.320 0.183 0.549
0.332 0.136 0.642
0.343 0.136 0.846
0.396 0.582 0.433
0.498 0.841 0.529
0.560 0.880 0.927
0.582 0.396 0.933
0.604 0.214 0.653
0.766 0.301 0.817
0.841 0.498 0.029
0.880 0.560 0.427
0.960 0.007 0.729
0.021 0.890 0.768
0.201 0.375 0.290
0.362 0.500 0.484
0.375 0.201 0.790
0.382 0.872 0.334
0.431 0.823 0.927
0.500 0.362 0.984
0.642 0.860 0.535
0.823 0.431 0.427
0.860 0.642 0.035
0.872 0.382 0.834
0.890 0.021 0.268
0.098 0.469 0.237
0.130 0.750 0.738
0.140 0.251 0.092
0.251 0.140 0.592
0.275 0.586 0.542
0.302 0.686 0.149
0.309 0.374 0.785
0.317 0.875 0.981
0.324 0.419 0.975
0.331 0.987 0.393
0.374 0.309 0.285
0.414 0.708 0.868
0.419 0.324 0.475
0.469 0.098 0.737
0.525 0.876 0.293
0.586 0.275 0.042
0.686 0.302 0.649
0.689 0.966 0.483
0.708 0.414 0.368
0.745 0.780 0.591
0.750 0.130 0.238
0.780 0.745 0.091
0.875 0.317 0.481
0.876 0.525 0.793
0.899 0.976 0.343
0.966 0.689 0.983
0.976 0.899 0.843
0.987 0.331 0.893
```

Summary:
* total magnetization: 1.0 μB per formula unit
* formation energy: -51.08 eV/f.u.


Entry 3:
## ErH9C5N2O8 (PBE-GGA)

Data for an optimized crystal structure of ErH9C5N2O8.

```
ErH9C5N2O8
1.0
5.633 -3.587 0.000
5.633 3.587 0.000
-2.173 0.000 6.256
Er H C N O
1 9 5 2 8
Direct
0.000 0.000 0.000
0.089 0.911 0.500
0.186 0.345 0.421
0.452 0.542 0.799
0.458 0.548 0.201
0.462 0.165 0.127
0.481 0.261 0.520
0.655 0.814 0.579
0.739 0.519 0.480
0.835 0.538 0.873
0.293 0.533 0.700
0.467 0.707 0.300
0.469 0.060 0.965
0.935 0.065 0.500
0.940 0.531 0.035
0.319 0.364 0.536
0.636 0.681 0.464
0.009 0.689 0.126
0.106 0.674 0.744
0.311 0.991 0.874
0.326 0.894 0.256
0.638 0.019 0.885
0.846 0.141 0.666
0.859 0.154 0.334
0.981 0.362 0.115
```

Summary:
* piezoelectric modulus e_max: 0.4 C/m2
* total magnetization: 0.0 μB per formula unit
* formation energy: -30.65 eV/f.u.


Entry 4:
## Er7C2I12N (PBE-GGA)

Data for an optimized crystal structure of Er7C2I12N.

```
Er7C2I12N
1.0
9.853 0.000 0.000
-4.087 9.670 0.000
-0.886 -3.998 16.359
Er C I N
~~~

We see that Q defines a region around the maximum likelihood.

We now examine Q again in matrix notation,

Hessian matrix

Since the Hessian matrix is symmetric, it is also diagonalizable:

Hessian matrix is diagonalizable

We can define a mapping:

We map estimated variables X onto y

where E is a square matrix whose cols are the normalised eigenvectors of the Hessian in any order, D is a diagonal matrix whose entries are the associated eigenvalues of the eigenvectors in E.

We see that we can actually write Q as the equation for an eclipse in the space of y for the 2D case of 2 variables.

-- begin --
A geometry-optimized NaEu2Sn structure. Source: the Materials Project database, functional PBE.

```
4
Lattice="0.0000 3.8084 3.8084 3.8084 0.0000 3.8084 3.8084 3.8084 0.0000" Properties=species:S:1:pos:R:3 pbc="T T T"
Na 0.0000 0.0000 0.0000
Eu 1.9042 1.9042 1.9042
Eu 5.7126 5.7126 5.7126
Sn 3.8084 3.8084 3.8084
```

Properties
Energy relative to the elements = -321 meV per atom
E_tot = -6.782 eV per atom
Total moment = 14.4 μB/f.u.


# TlCoO3

Crystalline TlCoO3 at its relaxed geometry (PBE+U, Materials Project).

## Properties
symmetry	No. 148
M_tot	0.00	μB per atom
mass density	8.8	g/cm³
formation enthalpy at 0 K	-1.105	eV/atom

POSCAR file:
```
TlCoO3
1.0
5.1624 -2.6145 0.0000
5.1624 2.6145 0.0000
3.8383 0.0000 4.3306
Tl Co O
2 2 6
direct
0.8734 0.8734 0.8734
0.1267 0.1267 0.1267
0.6608 0.6608 0.6608
0.3392 0.3392 0.3392
0.3098 0.5297 0.9443
0.9443 0.3098 0.5297
0.5297 0.9443 0.3098
0.4703 0.0557 0.6902
0.0557 0.6902 0.4703
0.6902 0.4703 0.0557
```


Compound: ZnCrP2O7
Source: the Materials Project
Functional: GGA+U
Structure: relaxed

Cell: 8.4532 7.1060 9.3469 Å, 70.01 90.00 90.00°
Fractional coordinates of all 44 atoms:
Zn (0.9379, 0.3080, 0.8135)
Zn (0.4379, 0.6919, 0.6865)
Zn (0.5621, 0.3080, 0.3135)
Zn (0.0621, 0.6919, 0.1865)
Cr (0.0665, 0.7602, 0.6122)
Cr (0.9335, 0.2398, 0.3878)
Cr (0.5665, 0.2398, 0.8878)
Cr (0.4335, 0.7602, 0.1122)
P (0.7383, 0.9308, 0.2487)
P (0.2284, 0.4615, 0.9725)
P (0.7617, 0.9308, 0.7487)
P (0.2716, 0.4615, 0.4725)
P (0.2383, 0.0692, 0.2513)
P (0.7284, 0.5385, 0.5275)
P (0.7716, 0.5385, 0.0275)
P (0.2617, 0.0692, 0.7513)
O (0.1892, 0.2490, 0.0964)
O (0.6040, 0.8834, 0.6930)
O (0.8960, 0.8834, 0.1930)
O (0.3898, 0.4529, 0.8957)
O (0.8108, 0.7510, 0.9036)
O (0.1023, 0.0480, 0.3634)
O (0.6102, 0.5471, 0.1043)
O (0.0908, 0.5026, 0.8609)
O (0.2608, 0.6174, 0.5543)
O (0.8977, 0.9520, 0.6366)
O (0.3977, 0.0480, 0.8634)
O (0.7551, 0.1163, 0.7999)
O (0.2551, 0.8837, 0.7001)
O (0.3108, 0.2490, 0.5964)
O (0.6023, 0.9520, 0.1366)
O (0.1040, 0.1166, 0.8070)
O (0.2449, 0.8837, 0.2001)
O (0.9092, 0.4974, 0.1391)
O (0.2392, 0.6174, 0.0543)
O (0.7608, 0.3826, 0.9457)
O (0.8898, 0.5471, 0.6043)
O (0.4092, 0.5026, 0.3609)
O (0.5908, 0.4974, 0.6391)
O (0.3960, 0.1166, 0.3070)
O (0.7449, 0.1163, 0.2999)
O (0.1102, 0.4529, 0.3957)
O (0.7392, 0.3826, 0.4457)
O (0.6892, 0.7510, 0.4036)

Calculated values
V in Å³ per cell: 528
Offset from the most stable computed form in meV per atom: 2.6
Space-group type: P2_1/c (14)

---

Compound: Na2V2O5
Source: the Materials Project
Functional: GGA+U
Structure: relaxed

Cell: 24.4226 5.3575 8.7765 Å, 89.62 90.00 90.00°
Fractional coordinates of all 72 atoms:
Na (0.7387, 0.7889, 0.5185)
Na (0.7613, 0.7889, 0.0185)
Na (0.2809, 0.7727, 0.7295)
Na (0.2191, 0.7727, 0.2295)
Na (0.5296, 0.7331, 0.9065)
Na (0.9704, 0.7331, 0.4065)
Na (0.0154, 0.7034, 0.8396)
Na (0.4846, 0.7034, 0.3396)
Na (0.5154, 0.2966, 0.6604)
Na (0.9846, 0.2966, 0.1604)
Na (0.0296, 0.2669, 0.5935)
Na (0.4704, 0.2669, 0.0935)
-- stop --

The eclipse define the region around which Q= some constant value k.

Let’s finally get around to examining covariance now.

In 2D, we can write

By considering a 2 variable model with parameters X and y, we can get P(X|D,I) if we integrate over all possible values of y:

We substitute the expression for Q then factor out the parts that don’t depend on y, complete squares. Integrals from -inf to inf of exp(-y²/(2sigma²)) have the standard solution sigma*sqrt(2*pi) which we can substitute into our expression:

We can apply the same methods to get the variance for y and for the covariance of x, y.

The covariance matrix is given by:

We can see that it is just the negative inverse of the Hessian matrix.

Moreover since the Hessian is symmetric, its determinant is given by the product of its eigenvalues. So if the covariance becomes very high, C becomes large and the determinant becomes very small. The area of the ellipse is given by k/(product of the eigenvalues)=k/determinant, hence when covariance is high, the ellipse becomes very elongated in 1 direction.

This in turns increases the marginal error bar for a given k, so for some confidence level, the error bar of our estimate would be larger and we would have less precise estimates if the covariance is high. It also leads to problems with convergence for optimisation algorithms that uses the second derivative (Hessian) such as Newton-Raphson. In the case of Newton-Raphson, the large covariance implies a large step size which can cause the algorithm to repeatedly over and undershoot the local maximum point and the algorithm to be unable to converge.

In summary, check for covariance between your variables before trying to fit any model!



The Startup

(Data records from another source follow)
=====
1.
Entry from Materials Project: an optimized crystal structure of Dy3CrS6 (r2SCAN).

Calculated values
Spin magnetization: 3.0 μB/f.u.

Unit cell a=13.291 b=15.932 c=3.763 alpha=90.00 beta=90.00 gamma=90.00
Space group Pnnm (No. 58)
One atom of each set of equivalent atoms:
Dy: 0.049 0.221 0.000 [4 per cell]
Dy: 0.182 0.647 0.000 [4 per cell]
Dy: 0.243 0.901 0.500 [4 per cell]
Cr: 0.000 0.000 0.500 [2 per cell]
Cr: 0.000 0.500 0.500 [2 per cell]
S: 0.021 0.402 0.000 [4 per cell]
S: 0.083 0.925 0.000 [4 per cell]
S: 0.104 0.753 0.500 [4 per cell]
S: 0.120 0.109 0.500 [4 per cell]
S: 0.180 0.520 0.500 [4 per cell]
S: 0.188 0.290 0.500 [4 per cell]

---

2.
Entry from Materials Project: an optimized crystal structure of ErCrO3 (r2SCAN).

Calculated values
Spin magnetization: 3.0 μB/f.u.

Unit cell a=5.521 b=7.503 c=5.188 alpha=90.00 beta=90.00 gamma=90.00
Space group Pnma (No. 62)
One atom of each set of equivalent atoms:
Er: 0.071 0.250 0.021 [4 per cell]
Cr: 0.000 0.000 0.500 [4 per cell]
O: 0.041 0.750 0.385 [4 per cell]
O: 0.196 0.559 0.810 [8 per cell]

---

The evaluated formation energy from the elements for the records listed, in turn: -20.48, -16.26 eV per formula unit.
=====
(End of the data records)

I was an engineering student, a software developer at a wealth fund and now a graduate student studying computational biology.